### Work order
It remains to print only the lines further down with the word "properties" in them.

### Given
____________
[1]
## TlCd2Hg8Bi (PBE)

Data for a relaxed TlCd2Hg8Bi crystal.

Computed properties:
SG ... No. 12
E ... -0.813 eV per atom
Spin magnetization ... 0.00 μB per cell

POSCAR file:
```
TlCd2Hg8Bi
1.0
5.979 -3.125 0.000
5.979 3.125 0.000
-3.119 0.000 9.276
Tl Cd Hg Bi
1 2 8 1
Direct
0.000 0.000 0.000
0.308 0.308 0.639
0.692 0.692 0.361
0.101 0.605 0.226
0.117 0.117 0.354
0.367 0.367 0.965
0.395 0.899 0.774
0.605 0.101 0.226
0.633 0.633 0.035
0.883 0.883 0.646
0.899 0.395 0.774
0.500 0.500 0.500
```


[2]
## TlCd4HgBi2 (PBE)

Data for a relaxed TlCd4HgBi2 crystal.

Computed properties:
SG ... No. 15
E ... -1.685 eV per atom
Spin magnetization ... 0.00 μB per cell

POSCAR file:
```
TlCd4HgBi2
1.0
6.263 -6.262 0.000
6.263 6.262 0.000
-3.861 0.000 5.822
Tl Cd Hg Bi
2 8 2 4
Direct
0.000 0.500 0.000
0.500 0.000 0.500
0.236 0.246 0.490
0.246 0.236 0.990
0.250 0.750 0.503
0.250 0.750 0.997
0.750 0.250 0.003
0.750 0.250 0.497
0.754 0.764 0.010
0.764 0.754 0.510
0.000 0.000 0.000
0.000 0.000 0.500
0.000 0.500 0.500
0.500 0.000 0.000
0.500 0.500 0.000
0.500 0.500 0.500
```


[3]
## TlCdHg2Bi (PBE)

Data for a relaxed TlCdHg2Bi crystal.

Computed properties:
SG ... No. 123
E ... -1.288 eV per atom
Spin magnetization ... 0.00 μB per cell

POSCAR file:
```
TlCdHg2Bi
1.0
5.912 0.000 0.000
0.000 5.912 0.000
0.000 0.000 5.942
Tl Cd Hg Bi
1 1 2 1
Direct
0.000 0.000 0.000
0.500 0.500 0.000
0.000 0.500 0.500
0.500 0.000 0.500
0.500 0.500 0.500
```


[4]
## TlCd2HgBi (PBE)

Data for a relaxed TlCd2HgBi crystal.

Computed properties:
SG ... No. 11
E ... -1.645 eV per atom
Spin magnetization ... 0.00 μB per cell

POSCAR file:
```
TlCd2HgBi
1.0
9.028 0.000 0.000
0.000 3.440 0.000
-3.163 0.000 8.966
Tl Cd Hg Bi
2 4 2 2
Direct
0.081 0.250 0.191
0.919 0.750 0.809
0.128 0.250 0.600
0.487 0.750 0.236
0.513 0.250 0.764
0.872 0.750 0.400
0.336 0.750 0.472
0.664 0.250 0.528
0.278 0.250 0.947
0.722 0.750 0.053
```


Q: The highest E belongs to which entry?
A: TlCd2Hg8Bi
____________

### Completed
Computed properties:
Computed properties:
Computed properties:
Computed properties: